物业员工奖罚单:初三英语总复习 词组专练

来源:百度文库 编辑:偶看新闻 时间:2024/07/05 13:02:55





(A) 用所给的词组填空。


as fast as possible           at the same time            asusual                 at least   

at the beginning of at times                        atonce                  at the head of

at the top of                   atmost                         at first                   at last


1.       I can pay only fifty pounds_______________.

2.       _______________ my mother lets mewatch TV in the evening.

3.       The two runners reached thefinishing line _______________.

4.       It was late for school. Li Lei ran_______________.

5.       She would go home,_______________, for Christmas.

6.       If you find any mistakes, tell me_______________.

7.       _______________ he knew themeaning of the text.

8.       The exam will begin_______________ June.

9.       _______________ he was a littleshy in class, but now he is active.

10.   Mary graduated _______________ herclass.

11.   There were _______________ ahundred people in the hall.

12. Therewas snow _______________ the mountains.


(B) 用所给的词组填空。


how long         howsoon        how far          how often

how much       howmany             how deep how old


1.       --- __________ do you go to Beijing? --- Once a year.

2.       --- __________ do you want to goto Beijingagain? --- I can’t wait to.

3.       --- __________ is it from Nanjing to Beijing?--- About 1,157 kilometers.

4.       --- __________ have you been aLeague member? --- Three years.

5.       --- __________ will Mr. Green comeback to Beijing?--- In three years.

6.       --- __________ kilos of milk wasproduced on the farm in 2001? --- 48,400 kilos.

7.       --- __________ is the Lake, do you know? --- It’s about 1,600 meters deep, Ithink.

8.       --- __________ was he last year? ---Ten.


(C) 用所给的词组填空。


in the day        insteadof              in English              in the future

in fact                    intime                  in this way             in the open air


1.       I’ll go to see her _______________you.

2.       No one knows what will happen_______________.

3.       No one believed it, but,_______________ Mary did get an A in maths.

4.       The sun comes out _______________and the moon comes at night.

5.       the students are learning to singa song _______________.

6.       _______________ you can learnEnglish well.

7.       Every morning he walks_______________ for an hour.

8.       We got to the station just _______________to catch the bus.


(D) 选用所给的词组填空,每小题只能填一个词组,每个词组只能用一次。


on watch         on display       on theother hand          neither … nor

on foot            onthe left       not…at all                    not only … but also

on earth           ontime          no matter               no longer


1.       Mr. Huang is _______________ ourteacher _______________ our friend.

2.       The old man _______________ liveshere. He lives with his son in Canada.

3.       Every day it takes me five minutesto go to school _______________.

4.       The soldier was standing_______________ though it was snowing hard.

5.       A new kind of car was_______________ in the shop.

6.       ____________ Bill _______________Jack knows how to spell the word “ heard ”.

7.       She is going to be a singer_______________ what difficulties she met.

8.       I think he is the luckiest man_______________.

9.       He is clever, but _______________,he makes many mistakes.

10.   Little John is ________ tallenough to touch it _______________.


(E) 选用所给的词组填空,每小题只能填一个词组,每个词组只能用一次。


out of              justnow         at the moment after a while          either… or…

ever since firstof all       up and down          more and more       more or less

even though    asif


1.       Jim doesn’t feel like eating. Hehas been like this _______________ last week.

2.       _______________ it was snowinghard, we had to go out.

3.       The work is _______________finished.

4.       It looks _______________ it isgoing to rain.

5.       _______________ Tom_______________ his brothers like to go hiking.

6.       A lift is used to carry people_______________ in the tall building.

7.       Don’t look _______________ thewindow. It’s dangerous.

8.       _______________ I’d like to sayhow glad I am to be here.

9.       The old woman knows the addressbut she can’t think of it _______________.

10.   Where is Smith? He was here_______________.


(F) 选用所给的词组填空,每小题只能填一个词组,每个词组只能用一次。


at sea              bysea     to his surprise in surprise      infront                 in front of

some day        oneday   before long            long before     thenumber of       a number of


1.       When we woke up, the ship was inthe storm _______________.

2.       They didn’t have to worry abouttheir chickens _______________.

3.  The driver sits _______________, and thepassengers sit behind.

4.       _______________, he found the girlwas blind.

5.       _______________ my father went outfor a walk in the street and met his old friend.

6.       _______________ the students inour school is 1,200.


(G) 选用所给的词组填空,每小题只能填一个词组,每个词组只能用一次。


at the end of           inthe end       sometime some time       bythe way

on the way              noneof          no one            less than         morethan


1.       Zhang Hong hopes she will have achance to study in America_________ next year.

2.       The population has increased from _______________6,600,000 to 8,300,000.

3.       _______________ home father toldme about the accident.

4.       _______________ we finished thework successfully.

5.       She is interested in_______________ these books.




(A) 选用下列短语的适当形式填空。


cut down         comedown            fall down        get down        putdown

slow down       shutdown              turn down              write down            sit down


1.       We have __________ when we come tothe main road. There is a lot of traffic on it.

2.       Something must be done to stopthem from _______________ trees.

3.       Please _______________ your handsbefore I ask you questions.

4.       The room is too noisy. Please_______________ the radio.

5.       Sue had the computer_______________ before she left the room.


(B) 选用下列短语的适当形式填空。


drop off           falloff           get off            hurry off       

keep off          turnoff          set off           put off


1.       This morning we _______________for our field trip together.

2.       Can’t you see a girl with someflowers in her hands _______________ the bus?

3.       He had to _______________ themeeting because of illness.

4.       The doctor asked the patient_______________ sleeping pills.

5.       Don’t forget to _______________the lights when you leave here.


(C) 选用下列短语的适当形式填空。


come up with                 catchup with  eat up             grow up         giveup

hurry up                        handsup         look up          open up          putup

make up one’s mind ring up                  sendup          wake up         pick up


1.       Tell me how _______________ theword in the dictionary, please.

2.       The teacher asked a difficultquestion, but finally Ted ___________ a good answer.

3.       A new cinema _______________ inthe center of the city last year.

4.       _______________, or we’ll miss thetrain.

5.       Look! The teacher _______________the competition result on the wall.

6.       If you work hard, you_______________ your classmates.

7.       The doctor told my father_______________ smoking.

8.       Will you _________ the rubbish andthrow it into a dustbin to keep the room clean?

9.       They _______________ to turn itinto rich farm land.

10.   The dog was so hungry that it_______________ all the food.

11.   _______________ or I’ll shoot you.

12.   The news reporter said China_______________ another spaceship soon.


(D) 选用下列短语的适当形式填空。


think about      thinkover       work out work on         have been to   have been in

hear of            hearfrom       used to           be used to       lookfor                 find out


1.       I _______________ going to Beijing for my holiday.

2.       I _______________ play footballwhen I was younger, but not very often.

3.       The scientists _______________inventing new ways of reaching outer space.

4.       We _______________ the Great Walltwice already.

5.       There is an important matter_______________.

6.       --- __________ you _________ Mr.Black, sir? --- Yes, we often write to each other.

7.       --- Can you _______________whenthe train will leave for Shanghai?--- Of course.

8.       We _______________ the cost of theholiday and decided that we could afford it.


(E) 选用下列短语的适当形式填空。


wear out          speakhighly of             learn … all byoneself    take care of

pay for            tryout                          get on                                 prefer to

make sure       makeroom for              stop … from                enjoy oneself


1.       I’m sure that you must ________the library book if you still can’t find it anywhere.

2.       We are going hiking on our firsttrip. So we _______________ to bring enough food for the trip.

3.       My English teacher often_______________ us so that we all like to study English.

4.       Edison _____________ always_______________ new ideas when he was young.

5.       All the students in Class 1_______________ well with each other.

6.       They _______________ walk ratherthan take a bus when they lived in town.

7.       Mum, can you buy new trousers forme? Mine _______________.

8.       Bruce is clever enough_______________ this song _______________.




(A) 选用所给的词组填空,每小题只能填一个词组,每个词组只能用一次。


far away from  arrivein                at the second crossing    from now on  

went wrong            give… back          come along                          come out

wentover              are used for           talking to                      over there


1.       --- Can I borrow this new book?--- Yes, but you must ______ it _______ in a week.

2.       --- Is your school ___________your home? --- Yes, I go to school by bus every day.

3.       I’ll give you a call as soon as I_______________ Beijing.

4.       Man-made satellites_______________ studying the universe now.

5.       Our teacher was ___________ Ann’smother when I passed the teacher’s office.

6.       He _______________ his exam paperand found two mistakes.

7.       _______________, we must learnmore to meet the need of the world.

8.       Some flowers have begun to_______________.

9.       It would be terrible if anything_______________.

10.   Turn right _______________ and you’llsee a supermarket.


(B) 选用所给的词组填空,每小题只能填一个词组,每个词组只能用一次。


in red              knockingat                   the day beforeyesterday        went on  

## Between two parts of the text: materials data
[1]
Calculated powder diffraction line list of Ni7Pd2Pt2 for a wavelength of 1.5418 Å, from a crystal structure in Alexandria, relaxed with GGA-PBE.
Peak positions follow from Bragg's law for the DFT cell and can differ from measured ones.

Structural model:
Cell: 4.395 4.461 7.543 Å, 91.41 93.79 102.48°
Space group P-1 (No. 2)
Inequivalent atoms, fractional coordinates:
1 Ni 0.000 0.000 0.000 x1
2 Ni 0.115 0.778 0.524 x2
3 Ni 0.423 0.311 0.614 x2
4 Ni 0.477 0.745 0.056 x2
5 Pd 0.041 0.484 0.813 x2
6 Pt 0.356 0.139 0.278 x2

Main lines, sorted by position (2θ = 10–80°):
| 2theta | d [Å] | Rel. int. |
| --- | --- | --- |
| 23.16 | 3.841 | 332 |
| 28.75 | 3.105 | 346 |
| 32.38 | 2.765 | 328 |
| 39.01 | 2.309 | 461 |
| 40.34 | 2.236 | 617 |
| 41.94 | 2.154 | 503 |
| 42.30 | 2.137 | 1000 |
| 42.81 | 2.112 | 829 |
| 44.88 | 2.020 | 298 |
| 45.28 | 2.003 | 781 |

[2]
Calculated powder diffraction line list of Y10HoEr4 for a wavelength of 1.5418 Å, from a crystal structure in Alexandria, relaxed with GGA-PBE.
Peak positions follow from Bragg's law for the DFT cell and can differ from measured ones.

Structural model:
Cell: 12.127 12.127 7.668 Å, 90.00 90.00 90.00°
Space group I4/m (No. 87)
Inequivalent atoms, fractional coordinates:
1 Y 0.000 0.500 0.250 x4
2 Y 0.100 0.800 0.250 x16
3 Ho 0.000 0.000 0.000 x2
4 Er 0.100 0.300 0.500 x8

Main lines, sorted by position (2θ = 10–80°):
| 2theta | d [Å] | Rel. int. |
| --- | --- | --- |
| 20.05 | 4.428 | 521 |
| 33.04 | 2.712 | 1000 |
| 38.95 | 2.312 | 289 |
| 47.42 | 1.917 | 180 |
| 51.97 | 1.759 | 127 |
| 59.00 | 1.565 | 371 |
| 62.98 | 1.476 | 95 |
| 69.31 | 1.356 | 114 |
| 72.98 | 1.296 | 92 |
| 78.95 | 1.213 | 157 |

[3]
Calculated powder diffraction line list of YGaH for a wavelength of 1.5418 Å, from a crystal structure in Alexandria, relaxed with GGA-PBE.
Peak positions follow from Bragg's law for the DFT cell and can differ from measured ones.

Structural model:
Cell: 3.262 15.851 3.873 Å, 90.00 90.00 90.00°
Space group Cmcm (No. 63)
Inequivalent atoms, fractional coordinates:
1 Y 0.000 0.090 0.250 x4
2 Ga 0.000 0.232 0.750 x4
3 H 0.000 0.454 0.250 x4

Main lines, sorted by position (2θ = 10–80°):
| 2theta | d [Å] | Rel. int. |
| --- | --- | --- |
| 11.16 | 7.925 | 197 |
| 25.60 | 3.480 | 272 |
| 27.93 | 3.195 | 362 |
| 32.31 | 2.770 | 408 |
| 33.93 | 2.642 | 324 |
| 39.96 | 2.256 | 1000 |
| 46.92 | 1.937 | 166 |
| 48.97 | 1.860 | 141 |
| 59.15 | 1.562 | 125 |
| 64.80 | 1.439 | 133 |

[4]
Calculated powder diffraction line list of LaPr5Y5 for a wavelength of 1.5418 Å, from a crystal structure in Alexandria, relaxed with GGA-PBE.
Peak positions follow from Bragg's law for the DFT cell and can differ from measured ones.

Structural model:
Cell: 6.2110 6.2110 12.0022 Å, 90.00 90.00 120.00°
Space group P-6m2 (No. 187)
Inequivalent atoms, fractional coordinates:
1 La 0.0000 0.0000 0.0000 x1
2 Pr 0.0000 0.0000 0.3195 x2
3 Pr 0.3333 0.6667 0.1552 x2
4 Pr 0.6667 0.3333 0.0000 x1
5 Y 0.5006 0.0011 0.5000 x3

waiting for      thesame as                  played a joke on                          to make money             laughed at       hour after hour


1.       Be quick! Mr. Liu is_______________ you at the school gate.

2.       Do you hear someone_______________ the door?

3.       Mr. Green works hard_______________.

4.       The two brothers don’t look_______________ each other.

5.       We waited _______________, but thevisitor didn’t arrived.

6.       It was raining hard but they_______________ working in the fields.

7.       He doesn’t like to be_______________.

8.       A girl _______________ is smilingto us far away.

9.       The boys _______________ James.They did his shoes and he couldn’t find them.

10.   They planted trees in the park_______________.


(C) 选用下列短语的适当形式填空。


besurprised at         be angry with  be made of            bemade for

befamous for         be amazed at          be afraid of            be fed up with

beworried about            be sorry for           be fast asleep  be able to


1.       The children had a good time inthe zoo. But they _______ the animals in the cages.

2.       I used to eat a lot of meat. Butnow I _______________ it.

3.       I _______________ the beautifulscenery in Xiamen.I really enjoyed myself when I was visiting the city.

4.       Han Mei was born in the year ofsnake. But she _______________ snakes.

5.       All of us _______________ the newsthat Miss Gao won’t come to the evening party this Saturday.

6.       Please don’t _______________ me ifI don’t go swimming with you.

7.       Look! The baby _______________.

8.       I found the dress which_______________ paper very strange.

9.       She said that she _______________support her family since two years ago.

10.   Mrs. Green is ill in hospital.Everyone _______________ her.




fill … with             playwith              begin with             quarrel with   

agree with              thanksto        so far                    regard … as

as well                   dotheir best           throw about           put away

take away        runaway        wash away             keep from


1.       Many more houses have been builtfor teachers in our city _______________.

2.       _______________ the teacher, weall did well in maths.

3.       She not only sings, she dances_______________.

4.       The doctor often _______________the bottle _______________ medicine.

5.       It’s dangerous _______________fire.

6.       The museum _______________ one ofthe best schools.

7.       They _______________ what I saidafter I had explained.

8.       The Chinese people _______________to make their country strong.

9.       Luckily they _______________ froma fire.

10.   Mother always tells me not____________ my clothes ____________ in the room.

11.   You’d better _______________ thefood. It smells bad.

12.   The bridge _______________ by theflood.

13. MyEnglish teacher often ____________ her class ____________ an English song.

14. Thesand can __________________________ moving towards the rich farmland.




  1. at most                         2.at times             3. at the same time        4.as fast as possible

  5. as usual                        6.at once                     7. At last                      8.at the beginning of

  9.At first                         10.at the head of   11.at least                            12. at the top of


  1. How often                    2.How much               3. How far                   4. How long

5.How soon                     6 .How many         7.How deep                 8. How old


  1. instead of                            2.in the future              3.in fact                       4.in the day

5.in English                            6. In this way               7. in the open air           8. in time


  1. not only…but also         2. no longer           3.onfoot                      4. on watch                        

  5. on display                    6.Neither…nor      7. no matter                 8.on earth           

  9. on the other hand         10. not…at all


  1. ever since                  2. Even though      3. more or less             4.as if

5.either… or                   6.up and down     7.out of                       8. First of all

9. at the moment              10. just now


  1. at sea                     2.before long        3. in front                            4. To his surprise

5. One day                       6. The number of


  1. some time                    2.less than            3. On the way               4. In the end

  5. none of



  1. to slow down                2. cutting down     3.put down                  4. turn down

  5. shut down 


  1. set off / will set off              2. getting off         3. put off                      4. to keep off

5. turn off


  1. to look up                           2.cameup with      3.was opened up            4. Hurry up

5. is putting up                       6.will catch up with7. to give up                      8.pick up

9. have made up their minds  10 .ate up         11.Handsup                  12. would send up


  1. am thinking about         2. used to                     3.are working on          4. have been to

  5. to think over               6. have … heardfrom     7. find out              8. worked out



  1. pay for                  2.make sure                 3. speaks highlyof        4. was … trying out

5. are getting on        6. preferred to             7.are worn out      8.to learn … by himself



  1. give … back          2. far away from          3. arrive in                   4. are used for

  5. talking to                     6.went over                 7. from now on             8. come out 

  9. went wrong          10. at the second crossing


  1. waiting for        2. knocking at           3.to make money         4. the same as

  5. hour after hour     6. went on                  7.laughed at                8. in red     

  9. played a joke on     10 . the day before yesterday


  1. were sorry for       2. am fed up with         3.was amazed at          4. is afraidof  

  5. are surprised at      6. be angry with            7.is fast asleep              8. was made of

  9. had been able to     10. is worried about


1. so far                    2.Thanks to                  3. as well                      4. fills … with

5. to play with           6. is regarded as            7. agreed with               8. are doing their best

9. have run away/ran away                             10. to throw …about    11. take away           12. was washed away     13. begins… with            14.be kept from